Writing – shortpoem.org https://shortpoem.org Mon, 13 Jan 2025 05:28:04 +0000 en-US hourly 1 https://wordpress.org/?v=4.8.3 How to Create Reads That Attracts lead https://shortpoem.org/how-to-create-reads-that-attracts-lead/ Thu, 08 Nov 2018 09:22:06 +0000 https://shortpoem.org/?p=45 The written word is still undoubtedly one of the best ways to create brand awareness. Even with the world digitizing, written word continues to dominate and supplement other forms of content creation. That’s why it’s crucial for brands to know how to create reads that tap audience attention for increased traffic. To help you out, here are tips for writing on your site and getting readers.

1. Understanding your demography

== What comes next are materials data, not part of the text ==
'''
Here is crystalline ZrHg3S2Cl6 at its relaxed geometry from the Materials Project. Energies are from PBE.

Summary:
- energy of formation (eV/atom) = -1.377
- energy (eV/f.u.) = -40.66

a b c (Å): 6.7841 7.5446 13.2843
angles (deg): 90.00 91.47 90.00
Space group P2_1/c (No. 14)
Symmetry-distinct sites (fractional):
Zr 0.0000 0.0000 0.0000
Hg 0.4916 0.2053 0.2405
Hg 0.5000 0.0000 0.5000
S 0.3474 0.5390 0.8320
Cl 0.1331 0.2130 0.5638
Cl 0.1475 0.0494 0.8327
Cl 0.3135 0.6468 0.5594
'''

Before creating content, it’s essential to research on what your reading demography like. In your search you will discover their itched questions, what’s googled most, the particular tone they are interest in and structure most are accustomed to. Based on these findings, you can draft a unique yet captivating read that addresses their concerns in a way that reach out to them most.

2. Be Keyword specific

The best way to attract readers to your site is by optimizing keywords in your content. This way, whenever, they query search engines like Google, your website can rank first. Keywords are terms that identify specifically to the search queries of your writing demography.

3. Content readability

With the number of mobile readers increasing by the day, it’s essential to create content that can be skimmed through easily. Avoid un-meaningful long paragraphs full of fluff and carrying more than two concepts. Instead, use short paragraphs that are brief and direct. Maximize of sub-topic use as it makes readability easier.

4. Incorporate infographics in your reads

Unless you are doing a white paper on a specific topic, it’s always best to add pictures and videos to your text. They break the monotony of writing and help with an illustration of what is being said. It’s also proven sites that make use of infographics in their content structure are more likely to attract readers than those that don’t. Make use of the four mention tips to increase readers on your site.

How to Write Informative and Interesting Articles https://shortpoem.org/how-to-write-informative-and-interesting-articles/ Sat, 20 Oct 2018 09:24:19 +0000 https://shortpoem.org/?p=47 Writing an article that both informs and engages can be tricky. Even if you’re writing about a topic you’re familiar with, it’s not always easy to come up with an angle that will capture the reader’s imagination. It can also be difficult explaining more complex concepts in a way that all your readers can understand. Too much jargon can rapidly overwhelm a reader, while overexplaining can feel condescending and tedious. Here are some great examples of article writing that conveys information in a catchy, accessible way.One technique is to find a compelling narrative to get your point across. People connect more easily to stories than they do to dry pages of information. An example here might be Laura Hillenbrand’s Four Good Legs Between Us, a fascinating article on the famous racehorse Seabiscuit. By describing Seabiscuit’s career alongside the life and experiences of the horse’s owner and trainer, the author also offers a fascinating glimpse into the history of horse-racing as a sport. Even though the piece was written in 1998, it remains popular and widely read to this day.To pick an entirely different sport, The Trading Desk, by Michael Lewis, is a gripping exploration of the Oakland A’s early-2000s winning streak, examining how the team managed to do so well despite having few big names and a very low payroll.Sometimes narrative explorations aren’t really necessary and what your readers really need is a simple but thorough breakdown of the facts. Best Bonus Casino Online has a great selection of articles for those looking to understand gaming a little better, such as their piece on casino bonus requirements. In sensible layman’s terms, the article breaks down what casino bonuses are and how wagering requirements operate.Whatever your topic, these tips and examples should help you deliver an excellent article. Happy writing!

+++
This record from the Materials Project database describes MgMn6O8F4 after structural relaxation. The functional is PBE+U.

Calculated values
Its theoretical density is 4.1 Mg/m³. For the formation energy, the calculation gives -213.1 kJ/mol of atoms. The energy above the most stable polymorph in this dataset comes out at 0.105 eV per atom.

Lattice parameters (Å, degrees): 4.9706 5.0279 8.9870 91.15 90.52 91.59
Space group P1 (No. 1)
One atom of each set of equivalent atoms:
Mg1 0.0000 0.0000 0.0000 x1
Mn1 0.0179 0.5306 0.6571 x1
Mn2 0.0737 0.4972 0.0018 x1
Mn3 0.4679 0.9948 0.4960 x1
Mn4 0.4762 0.0050 0.8084 x1
Mn5 0.5077 0.0363 0.1692 x1
Mn6 0.9778 0.5611 0.3184 x1
O1 0.1590 0.7307 0.8449 x1
O2 0.1638 0.7595 0.1551 x1
O3 0.1658 0.7355 0.4858 x1
O4 0.3221 0.2080 0.6554 x1
O5 0.3469 0.1994 0.9898 x1
O6 0.6487 0.8236 0.6514 x1
O7 0.6538 0.8428 0.3273 x1
O8 0.8594 0.2950 0.1489 x1
F1 0.3169 0.2366 0.3406 x1
F2 0.6681 0.7983 0.9812 x1
F3 0.8137 0.3382 0.4826 x1
F4 0.8623 0.2687 0.8436 x1

This record from the Materials Project database describes Li4Mn5Sn3O16 after structural relaxation. The functional is PBE+U.

Calculated values
Its theoretical density is 4.8 Mg/m³. For the formation energy, the calculation gives -199.5 kJ/mol of atoms.

Lattice parameters (Å, degrees): 10.5368 6.1306 9.8659 90.00 90.64 90.00
Space group Cm (No. 8)
One atom of each set of equivalent atoms:
Li1 0.0000 0.0000 0.0000 x2
Li2 0.0036 0.0000 0.5077 x2
Li3 0.1457 0.5000 0.1065 x2
Li4 0.3078 0.0000 0.6171 x2
Mn1 0.0668 0.2558 0.7857 x4
Mn2 0.1444 0.5000 0.5108 x2
Mn3 0.1526 0.0000 0.2834 x2
Mn4 0.3156 0.0000 0.0043 x2
Sn1 0.3147 0.5000 0.7867 x2
Sn2 0.3987 0.2476 0.2863 x4
O1 0.0718 0.2323 0.3952 x4
O2 0.1414 0.5000 0.8945 x2
O3 0.1494 0.0000 0.8897 x2
O4 0.2160 0.2736 0.6683 x4
O5 0.2347 0.2197 0.1665 x4
O6 0.3106 0.0000 0.4004 x2
O7 0.3316 0.5000 0.4078 x2
O8 0.4127 0.2610 0.8991 x4
O9 0.4662 0.0000 0.1614 x2
O10 0.4914 0.5000 0.1824 x2
O11 0.4927 0.5000 0.6903 x2
O12 0.4963 0.0000 0.6728 x2

This record from the Materials Project database describes LiMn3NiO8 after structural relaxation. The functional is PBE+U.

Calculated values
Its theoretical density is 4.1 Mg/m³. For the formation energy, the calculation gives -163.6 kJ/mol of atoms.

Lattice parameters (Å, degrees): 9.9717 5.8174 5.9699 90.00 122.43 90.00
Space group C2/m (No. 12)
One atom of each set of equivalent atoms:
Li1 0.0000 0.0000 0.0000 x2
Mn1 0.0000 0.5000 0.5000 x2
Mn2 0.2500 0.2500 0.5000 x4
Ni1 0.0000 0.0000 0.5000 x2
O1 0.0244 0.2618 0.2960 x8
O2 0.2242 0.0000 0.6869 x4
O3 0.2332 0.5000 0.6984 x4

This record from the Materials Project database describes Li7Mn5O12 after structural relaxation. The functional is PBE+U.

Calculated values
Its theoretical density is 3.9 Mg/m³. For the formation energy, the calculation gives -205.0 kJ/mol of atoms. The energy above the most stable polymorph in this dataset comes out at 0.032 eV per atom.
+++

How to Write Online Tutorials https://shortpoem.org/how-to-write-online-tutorials/ Tue, 05 Jun 2018 13:44:41 +0000 https://shortpoem.org/?p=38 Creating online tutorials is a great way to connect with potential clients and subscribers to your business or product in a new way. One of the main advantages of writing a tutorial is that you have the chance to show off your knowledge on a certain topic and impress other people that you know what you are talking about, you can then add links to your products and services at some point during the tutorial and people will be more likely to click on the link to see what else you have to offer. There are lots of things to consider when creating an online tutorial. The first aspect is to make sure that you have chosen a topic that you know a lot about and have a new insight into that other people are likely to find useful. Make sure that the information in your tutorial is very clear and easy to follow. A good way to do this is to have a friend who knows nothing about the topic you are explaining read through the tutorial and see if it makes sense to them. You should break down your information into short individual steps so that the information is not overwhelming to your readers. These steps can also be illustrated with photographs. These photographs will help to break up the text and will also help to present the information in another way. Remember that many people are visual and are likely to be able to understand the tutorial more easily if photographs are included. This will also be a boon for people who are reading the tutorial in a second language. The last thing to consider is to make sure that your tutorial is entertaining. Even if the topic that you are describing is rather dry, injecting a little humour will help your audience to connect with it better.

Writing a Successful Casino Blog https://shortpoem.org/writing-a-successful-casino-blog/ Fri, 09 Mar 2018 13:58:11 +0000 https://shortpoem.org/?p=32 Playing in online casinos is a staggeringly popular way for people to spend their time and money, and for each of the many casino sites that are hosted on the internet, there are many more sites dedicated to writing about them. Sadly, most of these sites have little value; so how can you keep your own casino blog useful and relevant? Here are a few ideas.

Stay up to Date

In addition to having a good overview of what is available at the casinos in question, a good casino blog needs to contain the very latest information. New games are added regularly, and there may be bonus codes and offers that change from week to week. If the casino site has a news section, use this like a press release to create your blog posts.

Be Honest

Too many casino blog posts and reviews are written like advertising copy. Users who are searching for honest opinions and content are often frustrated, as it’s difficult to know what to believe. Build trust with your readers by telling it like it is, and you’ll be rewarded with a loyal following.

Grade Your Language

Steady on, Shakespeare. This is a casino blog post, not a piece of literature. It can be tempting to use all the big words you know, but that can just come off as a bit pompous and obnoxious. Remember that this is written for a wide readership. You may not need to write for the so-called lowest common denominator, but don’t alienate or bore your readers with unnecessarily flowery language.

Add Some Humour

Not everyone has the gift of being funny, but we can all inject a bit of light-heartedness here and there. Try not to take yourself too seriously, and you’ll strike the right note.

Check Your Work

Even the best of us need a bit of help sometimes. If you want to write, but you think that your grammar and sentence structure might be a bit rusty, download some free software such as Grammarly to help you to correct your mistakes. Nothing turns readers off quite as quickly as reading a badly-written text.

Tips for Writing Short Stories https://shortpoem.org/tips-for-writing-short-stories/ Sat, 02 Sep 2017 13:59:33 +0000 https://shortpoem.org/?p=14 If you have trouble with starting, finishing or structuring your short stories, you might want to go through the following checklist.

Getting Ideas

If you are interested in writing short stories, having ideas for them is probably not the problem. But if it is, the only tip to get those ideas flowing is to look around and observe your surroundings when you’re out and about in the world, and preferably do inspiring things yourself. Exciting ideas come from exciting lives – be it your own or somebody else’s.

Here the text breaks off for records of crystals:
********
Entry 1:
Computed, not measured: crystalline Lu2AlZn at its relaxed geometry at the r²SCAN level of DFT.

Computed properties:
E (eV/atom): -23.37
Formation energy from the elements (eV/atom): -0.41

```
data_Lu2AlZn
_symmetry_space_group_name_H-M 'P 1'
_symmetry_Int_Tables_number 1
_cell_length_a 4.929
_cell_length_b 4.929
_cell_length_c 4.929
_cell_angle_alpha 60.00
_cell_angle_beta 60.00
_cell_angle_gamma 60.00
loop_
_symmetry_equiv_pos_as_xyz
'x,y,z'
loop_
_atom_site_label
_atom_site_type_symbol
_atom_site_fract_x
_atom_site_fract_y
_atom_site_fract_z
Lu1 Lu 0.250 0.250 0.250
Lu2 Lu 0.750 0.750 0.750
Al1 Al 0.000 0.000 0.000
Zn1 Zn 0.500 0.500 0.500
```

=====

Entry 2:
Computed, not measured: crystalline Mg17Al12 at its relaxed geometry at the r²SCAN level of DFT.

Computed properties:
E (eV/atom): -5.24
Formation energy from the elements (eV/atom): -0.01

```
data_Mg17Al12
_symmetry_space_group_name_H-M 'P 1'
_symmetry_Int_Tables_number 1
_cell_length_a 9.038
_cell_length_b 9.038
_cell_length_c 9.038
_cell_angle_alpha 109.47
_cell_angle_beta 109.47
_cell_angle_gamma 109.47
loop_
_symmetry_equiv_pos_as_xyz
'x,y,z'
loop_
_atom_site_label
_atom_site_type_symbol
_atom_site_fract_x
_atom_site_fract_y
_atom_site_fract_z
Mg1 Mg 0.000 0.000 0.000
Mg2 Mg 0.000 0.000 0.654
Mg3 Mg 0.000 0.398 0.684
Mg4 Mg 0.000 0.654 0.000
Mg5 Mg 0.000 0.684 0.398
Mg6 Mg 0.286 0.602 0.602
Mg7 Mg 0.316 0.316 0.714
Mg8 Mg 0.316 0.714 0.316
Mg9 Mg 0.346 0.346 0.346
Mg10 Mg 0.398 0.000 0.684
Mg11 Mg 0.398 0.684 0.000
Mg12 Mg 0.602 0.286 0.602
Mg13 Mg 0.602 0.602 0.286
Mg14 Mg 0.654 0.000 0.000
Mg15 Mg 0.684 0.000 0.398
Mg16 Mg 0.684 0.398 0.000
Mg17 Mg 0.714 0.316 0.316
Al1 Al 0.000 0.186 0.367
Al2 Al 0.000 0.367 0.186
Al3 Al 0.181 0.814 0.814
Al4 Al 0.186 0.000 0.367
Al5 Al 0.186 0.367 0.000
Al6 Al 0.367 0.000 0.186
Al7 Al 0.367 0.186 0.000
Al8 Al 0.633 0.633 0.819
Al9 Al 0.633 0.819 0.633
Al10 Al 0.814 0.181 0.814
Al11 Al 0.814 0.814 0.181
Al12 Al 0.819 0.633 0.633
```

=====

Entry 3:
Computed, not measured: crystalline Mg15Al at its relaxed geometry at the r²SCAN level of DFT.

Computed properties:
E (eV/atom): -4.32
Formation energy from the elements (eV/atom): 0.01

```
data_Mg15Al
_symmetry_space_group_name_H-M 'P 1'
_symmetry_Int_Tables_number 1
_cell_length_a 6.313
_cell_length_b 6.313
_cell_length_c 10.185
_cell_angle_alpha 90.00
_cell_angle_beta 90.00
_cell_angle_gamma 120.00
loop_
_symmetry_equiv_pos_as_xyz
'x,y,z'
loop_
_atom_site_label
_atom_site_type_symbol
_atom_site_fract_x
_atom_site_fract_y
_atom_site_fract_z
Mg1 Mg 0.000 0.000 0.000
Mg2 Mg 0.001 0.500 0.000
Mg3 Mg 0.165 0.331 0.253
Mg4 Mg 0.165 0.331 0.747
Mg5 Mg 0.165 0.835 0.253
Mg6 Mg 0.165 0.835 0.747
Mg7 Mg 0.500 0.500 0.000
Mg8 Mg 0.500 0.999 0.000
Mg9 Mg 0.501 0.001 0.500
Mg10 Mg 0.501 0.499 0.500
Mg11 Mg 0.667 0.333 0.250
Mg12 Mg 0.667 0.333 0.750
Mg13 Mg 0.669 0.835 0.253
Mg14 Mg 0.669 0.835 0.747
Mg15 Mg 0.999 0.499 0.500
Al1 Al 0.000 0.000 0.500
```

=====

Entry 4:
********

Flowing Text

Do you have a great idea and a complete story in your mind, but you don’t seem to be able to execute it in the way you would like? This is not something you can work out by taking a course, but there are some tips that might help. First, read a lot. You might find a writer whose style intrigues you and decide to write your story in a similar style. When this is decided, writing is bound to be easier. Secondly, if you’re having writer’s block and everything you write seems to be of low-quality, the only way to get something done is to keep writing. You can always go back and rewrite the whole text if you like, but at least you will have something concrete to work with.


If you are the type of writer that gets a great, but vague, idea and starts writing immediately, you will probably hit a wall at some point. This is why planning is essential. There are different ways to plan the text. You can make a timeline with the most important events on it, or if the story is more of the pondering kind, you might want to write down the most important ideas you have for it, in the order that you think you are going to include them in the writing.
